Brief:
It remains to print the lines underneath up to the one that holds "O59 0.8270", that line included.
Listing:
! Sr4MgMn2Ga2O11 | the Materials Project | GGA+U | relaxed; values from VASP
&SYSTEM
  ibrav = 0, nat = 20, ntyp = 5
/
ATOMIC_SPECIES
Sr 87.62 Sr.upf
Mg 24.30 Mg.upf
Mn 54.94 Mn.upf
Ga 69.72 Ga.upf
O 16.00 O.upf
CELL_PARAMETERS angstrom
5.8839 0.0000 0.0000
-1.0241 5.8480 0.0000
-2.6432 -2.7268 7.8738
ATOMIC_POSITIONS angstrom
Sr 0.0000 0.0000 0.0000
Sr -0.5800 0.6241 4.0935
Sr 1.5261 3.6740 0.3816
Sr 1.7804 3.4742 4.0940
Mg 3.8523 1.9606 0.2301
Mn -1.3478 3.5582 2.3116
Mn 2.4122 0.4656 2.2306
Ga -1.2015 3.5913 5.9576
Ga 2.4950 0.3444 5.9040
O -0.3382 2.1673 1.3090
O -1.5966 -0.9088 5.8574
O -2.2100 1.8912 6.2192
O -0.7286 3.0865 4.2064
O 0.1049 4.8589 2.0704
O 2.5413 0.4563 0.2618
O 1.9838 0.7298 4.1248
O 1.6485 -1.5098 6.2512
O 1.1804 0.9818 7.1629
O 2.9700 2.3470 2.0730
O 4.1613 -0.8498 2.4739
! Energy of formation, eV per atom: -2.5616
! Offset from the most stable computed form, meV/atom: 0
! E_tot, eV/atom: -6.38
! MP2020-corrected energy, eV per atom: -6.92
! SG: P1
! V, Å³ per cell: 270.9


[1]
# Na4Zr2Al2Si3S3O24 (PBE, optimized geometry)
# - ΔH_f (0 K) (eV/atom) = -2.74
# - energy (eV/cell) = -794.866
data_Na4Zr2Al2Si3S3O24
_cell_length_a 8.9197
_cell_length_b 8.9220
_cell_length_c 22.6634
_cell_angle_alpha 89.87
_cell_angle_beta 88.63
_cell_angle_gamma 60.04
_symmetry_space_group_name_H-M 'P 1'
_symmetry_Int_Tables_number 1
loop_
_symmetry_equiv_pos_as_xyz
'x,y,z'
loop_
_atom_site_label
_atom_site_fract_x
_atom_site_fract_y
_atom_site_fract_z
Na1 0.0000 0.0000 0.0000
Na2 0.0001 0.3701 0.2558
Na3 0.0090 0.3560 0.7661
Na4 0.3303 0.3306 0.6824
Na5 0.3303 0.7026 0.4201
Na6 0.3317 0.6926 0.9276
Na7 0.3398 0.0537 0.1663
Na8 0.6568 0.0287 0.0870
Na9 0.6640 0.6716 0.3345
Na10 0.6669 0.3849 0.8460
Na11 0.6764 0.0094 0.5934
Na12 0.9958 0.7240 0.5052
Zr1 0.3141 0.6955 0.7781
Zr2 0.3286 0.6980 0.2743
Zr3 0.6546 0.0404 0.9420
Zr4 0.6632 0.0135 0.4382
Zr5 0.9889 0.3753 0.6076
Zr6 0.9897 0.3655 0.1038
Al1 0.0214 0.3179 0.9022
Al2 0.3347 0.7018 0.5710
Al3 0.3801 0.6935 0.0627
Al4 0.6636 0.9913 0.2391
Al5 0.6893 0.0148 0.7452
Al6 0.9877 0.3730 0.3947
Si1 0.0326 0.7139 0.6677
Si2 0.2900 0.0606 0.0064
Si3 0.3582 0.0447 0.3361
Si4 0.3690 0.3032 0.8333
Si5 0.6286 0.6970 0.1712
Si6 0.6950 0.6435 0.5015
Si7 0.7072 0.3702 0.9994
Si8 0.9514 0.0367 0.8386
Si9 0.9577 0.7278 0.3369
S1 0.0061 0.0676 0.5029
S2 0.0076 0.6459 0.0014
S3 0.0304 0.9818 0.1704
S4 0.2897 0.3661 0.5034
S5 0.3393 0.9779 0.6674
S6 0.3421 0.3998 0.1687
S7 0.6163 0.4026 0.6685
S8 0.6730 0.3093 0.3362
S9 0.6731 0.7349 0.8344
O1 0.0240 0.1543 0.1681
O2 0.0258 0.5279 0.6626
O3 0.0269 0.1520 0.4504
O4 0.0293 0.5388 0.9498
O5 0.1112 0.8787 0.1163
O6 0.1367 0.7256 0.6078
O7 0.1453 0.8974 0.2224
O8 0.1498 0.8709 0.8323
O9 0.1526 0.6980 0.3324
O10 0.1589 0.6689 0.0094
O11 0.1603 0.8883 0.5080
O12 0.1635 0.1550 0.9514
O13 0.1661 0.6613 0.7226
O14 0.1687 0.2090 0.3508
O15 0.1759 0.3351 0.8467
O16 0.1787 0.3881 0.4533
O17 0.1806 0.1558 0.6626
O18 0.1878 0.3729 0.1673
O19 0.2147 0.1726 0.0684
O20 0.2159 0.3336 0.5595
O21 0.2926 0.8755 0.0142
O22 0.2986 0.5279 0.5102
O23 0.3122 0.5050 0.2238
O24 0.3136 0.9013 0.7217
O25 0.3531 0.8612 0.3322
O26 0.3545 0.4910 0.1164
O27 0.3577 0.8705 0.6146
O28 0.3661 0.4928 0.8281
O29 0.4564 0.0653 0.2772
O30 0.4675 0.2152 0.4985
O31 0.4690 0.1868 0.7727
O32 0.4866 0.0262 0.0004
O33 0.4905 0.0015 0.6697
O34 0.4914 0.9982 0.3922
O35 0.4974 0.2239 0.8893
O36 0.4967 0.7305 0.1173
O37 0.4996 0.2266 0.1742
O38 0.5039 0.6668 0.5160
O39 0.5069 0.4966 0.6177
O40 0.5143 0.5352 0.0101
O41 0.5179 0.4889 0.3331
O42 0.5190 0.7097 0.8273
O43 0.5431 0.6683 0.2322
O44 0.5485 0.5046 0.7238
O45 0.6265 0.2326 0.6717
O46 0.6369 0.8774 0.1775
O47 0.6383 0.8390 0.8884
O48 0.6449 0.2353 0.3914
O49 0.6867 0.8353 0.5005
O50 0.6913 0.8239 0.7812
O51 0.6940 0.2039 0.2838
O52 0.6963 0.1900 0.9993
O53 0.7968 0.3730 0.6619
O54 0.8006 0.5230 0.4439
O55 0.8055 0.3910 0.9409
O56 0.8226 0.5276 0.1678
O57 0.8258 0.8299 0.2837
O58 0.8265 0.5573 0.5583
O59 0.8270 0.5632 0.8377
Worked solution:
! Sr4MgMn2Ga2O11 | the Materials Project | GGA+U | relaxed; values from VASP
&SYSTEM
  ibrav = 0, nat = 20, ntyp = 5
/
ATOMIC_SPECIES
Sr 87.62 Sr.upf
Mg 24.30 Mg.upf
Mn 54.94 Mn.upf
Ga 69.72 Ga.upf
O 16.00 O.upf
CELL_PARAMETERS angstrom
5.8839 0.0000 0.0000
-1.0241 5.8480 0.0000
-2.6432 -2.7268 7.8738
ATOMIC_POSITIONS angstrom
Sr 0.0000 0.0000 0.0000
Sr -0.5800 0.6241 4.0935
Sr 1.5261 3.6740 0.3816
Sr 1.7804 3.4742 4.0940
Mg 3.8523 1.9606 0.2301
Mn -1.3478 3.5582 2.3116
Mn 2.4122 0.4656 2.2306
Ga -1.2015 3.5913 5.9576
Ga 2.4950 0.3444 5.9040
O -0.3382 2.1673 1.3090
O -1.5966 -0.9088 5.8574
O -2.2100 1.8912 6.2192
O -0.7286 3.0865 4.2064
O 0.1049 4.8589 2.0704
O 2.5413 0.4563 0.2618
O 1.9838 0.7298 4.1248
O 1.6485 -1.5098 6.2512
O 1.1804 0.9818 7.1629
O 2.9700 2.3470 2.0730
O 4.1613 -0.8498 2.4739
! Energy of formation, eV per atom: -2.5616
! Offset from the most stable computed form, meV/atom: 0
! E_tot, eV/atom: -6.38
! MP2020-corrected energy, eV per atom: -6.92
! SG: P1
! V, Å³ per cell: 270.9


[1]
# Na4Zr2Al2Si3S3O24 (PBE, optimized geometry)
# - ΔH_f (0 K) (eV/atom) = -2.74
# - energy (eV/cell) = -794.866
data_Na4Zr2Al2Si3S3O24
_cell_length_a 8.9197
_cell_length_b 8.9220
_cell_length_c 22.6634
_cell_angle_alpha 89.87
_cell_angle_beta 88.63
_cell_angle_gamma 60.04
_symmetry_space_group_name_H-M 'P 1'
_symmetry_Int_Tables_number 1
loop_
_symmetry_equiv_pos_as_xyz
'x,y,z'
loop_
_atom_site_label
_atom_site_fract_x
_atom_site_fract_y
_atom_site_fract_z
Na1 0.0000 0.0000 0.0000
Na2 0.0001 0.3701 0.2558
Na3 0.0090 0.3560 0.7661
Na4 0.3303 0.3306 0.6824
Na5 0.3303 0.7026 0.4201
Na6 0.3317 0.6926 0.9276
Na7 0.3398 0.0537 0.1663
Na8 0.6568 0.0287 0.0870
Na9 0.6640 0.6716 0.3345
Na10 0.6669 0.3849 0.8460
Na11 0.6764 0.0094 0.5934
Na12 0.9958 0.7240 0.5052
Zr1 0.3141 0.6955 0.7781
Zr2 0.3286 0.6980 0.2743
Zr3 0.6546 0.0404 0.9420
Zr4 0.6632 0.0135 0.4382
Zr5 0.9889 0.3753 0.6076
Zr6 0.9897 0.3655 0.1038
Al1 0.0214 0.3179 0.9022
Al2 0.3347 0.7018 0.5710
Al3 0.3801 0.6935 0.0627
Al4 0.6636 0.9913 0.2391
Al5 0.6893 0.0148 0.7452
Al6 0.9877 0.3730 0.3947
Si1 0.0326 0.7139 0.6677
Si2 0.2900 0.0606 0.0064
Si3 0.3582 0.0447 0.3361
Si4 0.3690 0.3032 0.8333
Si5 0.6286 0.6970 0.1712
Si6 0.6950 0.6435 0.5015
Si7 0.7072 0.3702 0.9994
Si8 0.9514 0.0367 0.8386
Si9 0.9577 0.7278 0.3369
S1 0.0061 0.0676 0.5029
S2 0.0076 0.6459 0.0014
S3 0.0304 0.9818 0.1704
S4 0.2897 0.3661 0.5034
S5 0.3393 0.9779 0.6674
S6 0.3421 0.3998 0.1687
S7 0.6163 0.4026 0.6685
S8 0.6730 0.3093 0.3362
S9 0.6731 0.7349 0.8344
O1 0.0240 0.1543 0.1681
O2 0.0258 0.5279 0.6626
O3 0.0269 0.1520 0.4504
O4 0.0293 0.5388 0.9498
O5 0.1112 0.8787 0.1163
O6 0.1367 0.7256 0.6078
O7 0.1453 0.8974 0.2224
O8 0.1498 0.8709 0.8323
O9 0.1526 0.6980 0.3324
O10 0.1589 0.6689 0.0094
O11 0.1603 0.8883 0.5080
O12 0.1635 0.1550 0.9514
O13 0.1661 0.6613 0.7226
O14 0.1687 0.2090 0.3508
O15 0.1759 0.3351 0.8467
O16 0.1787 0.3881 0.4533
O17 0.1806 0.1558 0.6626
O18 0.1878 0.3729 0.1673
O19 0.2147 0.1726 0.0684
O20 0.2159 0.3336 0.5595
O21 0.2926 0.8755 0.0142
O22 0.2986 0.5279 0.5102
O23 0.3122 0.5050 0.2238
O24 0.3136 0.9013 0.7217
O25 0.3531 0.8612 0.3322
O26 0.3545 0.4910 0.1164
O27 0.3577 0.8705 0.6146
O28 0.3661 0.4928 0.8281
O29 0.4564 0.0653 0.2772
O30 0.4675 0.2152 0.4985
O31 0.4690 0.1868 0.7727
O32 0.4866 0.0262 0.0004
O33 0.4905 0.0015 0.6697
O34 0.4914 0.9982 0.3922
O35 0.4974 0.2239 0.8893
O36 0.4967 0.7305 0.1173
O37 0.4996 0.2266 0.1742
O38 0.5039 0.6668 0.5160
O39 0.5069 0.4966 0.6177
O40 0.5143 0.5352 0.0101
O41 0.5179 0.4889 0.3331
O42 0.5190 0.7097 0.8273
O43 0.5431 0.6683 0.2322
O44 0.5485 0.5046 0.7238
O45 0.6265 0.2326 0.6717
O46 0.6369 0.8774 0.1775
O47 0.6383 0.8390 0.8884
O48 0.6449 0.2353 0.3914
O49 0.6867 0.8353 0.5005
O50 0.6913 0.8239 0.7812
O51 0.6940 0.2039 0.2838
O52 0.6963 0.1900 0.9993
O53 0.7968 0.3730 0.6619
O54 0.8006 0.5230 0.4439
O55 0.8055 0.3910 0.9409
O56 0.8226 0.5276 0.1678
O57 0.8258 0.8299 0.2837
O58 0.8265 0.5573 0.5583
O59 0.8270 0.5632 0.8377